HyperChain Capital To Deploy $50M Into The Blockchain Ecosystem

Stelian Balta, the CEO of HyperChain Capital says that over the next 2 years the fund will be investing approximately $50 million into the blockchain ecosystem. In this exclusive interview, Balta shares his thoughts on contactless transactions, the current state of U.S. debt, and why he thinks that the 2020s could mark the dawn of a new era for bitcoin. 

In 2013, Balta sold a mobile games company and began investing in crypto. His first investment was in MasterCoin, he was also an early equity investor in companies like Block One (EOS) and the Kyber Network and participated in ethereum’s ICO. Today, HyperChain Capital is known as a veteran digital asset management firm—one of the few that actually survived the 2018 bubble burst.

Contactless transactions

Without a question, COVID-19 has sent shockwaves throughout the financial markets. In March 2020, the stock market took a massive dive. Bitcoin and altcoins followed suit as investors liquidated their investments fast in pursuit of cash. Not only has the pandemic took its toll on the economy, but also on a social level too with lockdown policies that enforced social distancing.

As a result of COVID-19, Balta believes that this paints a strong case for the digitization of the dollar. Balta says, “There are many benefits to be had from replacing cash with digital currency. Firstly, in light of the pandemic, there’s going to be a big focus on contactless transactions in the future, which can’t be done with cash.”

Balta adds, “There are also other benefits such as instant transactions, lower fees, and greater efficiencies. We already know that several central banks such as Sweden and China are close to implementing their own version of digital currencies, so it seems only a matter of time before the Fed follows.” 

The state of U.S. debt

Recently, U.S. debt hit a staggering $25 trillion, a record high that many people expect to only further increase as the Fed continues to print money. In an interview with 60 Minutes, the Fed admitted to flooding the system with money. 

The Fed said, “We have the ability to print money digitally and we do that by buying treasury bills or bonds or other government-guaranteed securities—that actually increases the money supply. We also print actual currency and distribute that to the Federal Reserve Bank.” In effect, the Fed can print as much money as they like to prop up the economy. And, this is happening right now. 

When asked if people could lose faith in the dollar, Balta says, “I don’t think people will lose faith in the dollar—at least not in the long term. But I do think the digitization of the dollar might become inevitable in the long term because of so many direct benefits. Crypto-inspired technologies could have an interesting role in this case.”

Balta adds, “We do see instances across the globe where people start to lose faith in their national currencies. The situation in Lebanon at the moment has led to protests with people setting fire to banks, which is evidence of a high level of discontent at the way the economy has been managed.” 

“However, the US is in a different scenario. In countries like Lebanon or Iran, they already had economic issues before the pandemic hit, whereas the US economy and the dollar were undergoing a record period of growth.”

== Unrelated to this entry: data records ==
=====
1.
TiAl2Br8 | PBE | optimized geometry

Computed properties:
The value obtained for the raw total energy is -80.67 eV/cell. For the formation energy, the calculation gives -1.47 eV/atom. For the polymorph energy (0 for the lowest one), the calculation gives 0.33 eV/f.u.

Geometry as POSCAR:
```
TiAl2Br8
1.0
6.403 0.000 0.000
0.000 10.469 0.000
0.000 0.000 13.513
Ti Al Br
2 4 16
Direct
0.000 0.500 0.000
0.500 0.000 0.500
0.610 0.500 0.178
0.390 0.500 0.822
0.890 0.000 0.678
0.110 0.000 0.322
0.260 0.000 0.667
0.754 0.674 0.090
0.696 0.500 0.340
0.246 0.326 0.910
0.804 0.000 0.840
0.754 0.326 0.090
0.196 0.000 0.160
0.240 0.500 0.167
0.746 0.826 0.590
0.254 0.826 0.410
0.246 0.674 0.910
0.740 0.000 0.333
0.304 0.500 0.660
0.760 0.500 0.833
0.254 0.174 0.410
0.746 0.174 0.590
```


2.
AlTlBr4 | PBE | optimized geometry

Computed properties:
The value obtained for the raw total energy is -77.27 eV/cell. For the formation energy, the calculation gives -1.47 eV/atom.

Geometry as POSCAR:
```
AlTlBr4
1.0
-5.882 2.804 -3.977
4.813 -1.095 -7.890
-3.021 -12.330 -4.224
Al Tl Br
4 4 16
Direct
0.784 0.715 0.546
0.216 0.285 0.454
0.784 0.285 0.954
0.216 0.715 0.046
0.099 0.000 0.250
0.370 0.500 0.750
0.630 0.500 0.250
0.901 0.000 0.750
0.579 0.166 0.874
0.266 0.539 0.401
=====

Bitcoin’s era

The world is undergoing an unprecedented change. Balta is of the opinion that cash has a depreciating value, meaning you lose value from your money as time goes by. Currencies around the world are on the brink of negative rates and amidst unprecedented printing. 

Balta says, “Getting an inflation or deflation hedge, such as bitcoin, in your portfolio, can be a prudent thing to do to mitigate risk. It’s really hard to find something to invest in to not be correlated with anything, especially in the deflationary environment which we might see after the COVID-19 crisis.” 

“While the thesis of bitcoin investment is that of inflation, a deflationary event could benefit the cryptocurrency. Also, since the halving (where the issuance of bitcoin dropped from 12.5 coins to 6.25 coins every ten minutes), bitcoin has decoupled from the stock markets. In the past hundreds’ of years, the best inflation hedge was gold. Now, this could be bitcoin’s era.”

Looking to the future

Balta is convinced that decentralized finance (DeFi) is still finding its feet. He admits that whilst there have been some significant setbacks this year, there will be a heavy focus on cross-platform interoperability. “If ethereum-based DeFi applications can start to unlock some of the massive value tied up in bitcoin and bitcoin derivatives—then that could be a huge area of growth in the next few years.”

“We’re aiming to deploy more than $50 million dollars in the next 2 to 3 years in the blockchain ecosystem, especially in promising early-stage companies. We live in such unique and challenging times, there are so many opportunities and problems to solve in the market.”